
Investment Incentives for the Tourism Sector

The Tourism Development Act, Chapter 87:22 (TDA) was introduced to support the development of tourism in Trinidad and Tobago. The Act provides for Tourism Development Incentives to be granted to owners/operators of various types of tourism projects, once these projects have the potential to contribute substantially to the development, growth and expansion of the industry.


I. Tax Benefits under TDA

The tax benefits which the Minister may confer on an owner or operator when an approved tourism project results in the creation of a new tourism project or the expansion of an existing tourism project, shall be—

  • Tax exemption not exceeding seven (7) years on gains or profits from the approved project;
  • Tax exemption on profits from the initial sale of villas, condominiums and sites thereof within an Integrated Resort Development;
  • An accelerated depreciation of depreciable equipment owned by the owner or operator and used in an approved product;
  • A capital allowance in respect of approved capital expenditure incurred by the owner or operator in the creation of a new tourism project or expansion of an existing tourism project;
  • A carry-over of losses from a tax exemption period arising out of the operation or renting of an approved tourism project;
  • Tax exemption on the dividend received by a non-resident shareholder if the recipient is not liable to tax on the dividend in his country of residence;
  • Owner or operator of a vehicle imported for use in an approved tourism project shall be exempt from motor vehicles tax.
  • 100% Income Tax deduction on approved capital expenditure incurred in conversion of a house into an approved guest house (Section 13B of the Income Tax Act, Chap. 75:01)

II. Customs and Excise Duty Exemptions

Where a person has been granted interim approval or additional interim approval for a tourism project, the Minister of Tourism may, upon application, grant that person a permit:

  • for the importation of materials into Trinidad and Tobago free of customs duty;
  • for a drawback of customs duties or excise duties, of such building materials which are not already duty free and of such articles of tourism equipment; and
  • to import vehicles with the payment of customs duty at a reduced rate of 10%.



Eligibility Criteria

Customs and Excise Duty Exemptions provide:

  • Duty free importation of building materials and articles of tourism equipment to be used exclusively in connection with the tourism project (Restricted to items not manufactured or readily available in Trinidad and Tobago.); and
  • A reduced rate of Customs Duty (10%) for the importation of a vehicle for exclusive use in the transportation of guests/visitors.

Tourism projects seeking to access benefits under this Act:

  • Must be registered with the Corporation (TTL) or the Tobago House of Assembly;
  • Are subject to annual inspection by the Corporation (Assembly) for matters concerning Trinidad (Tobago);
  • Must provide relevant data as required by the Corporation/Assembly;
  • Must engage the human resources of Trinidad and Tobago;
  • Must show linkages to the agricultural, construction and furniture industries and other manufactured goods and services of Trinidad and Tobago; and
  • Must have a minimum capital expenditure, which varies with the type of tourism project as outlined in Schedule 9 of the TDA.

Application Procedure

Applications are available and processed by Tourism Trinidad Limited (TTL) in Trinidad and the Tobago House of Assembly (THA) in Tobago. Officers from Tourism Trinidad Limited (TTL) are also available to meet with potential investors to discuss their tourism projects and the combination of benefits that may be considered for their respective projects.

**Unrelated to this text: calculated crystals**
........
## P
KCoHg2: optimized geometry, GGA-PBE.

abc: 10.6324 10.6324 10.6324
angles: 17.62 17.62 17.62
Fractional coordinates of all 4 atoms:
K: 0.0000 0.0000 0.0000
Co: 0.7530 0.7530 0.7530
Hg: 0.2392 0.2392 0.2392
Hg: 0.4827 0.4827 0.4827

Computed properties:
The calculation puts the spin magnetization at 1.5 μB/f.u.

## Q
KCoHg2: optimized geometry, GGA-PBE.

abc: 5.1689 5.1689 5.1689
angles: 60.00 60.00 60.00
Fractional coordinates of all 4 atoms:
K: 0.0000 0.0000 0.0000
Co: 0.5000 0.5000 0.5000
Hg: 0.2500 0.2500 0.2500
Hg: 0.7500 0.7500 0.7500

Computed properties:
The calculation puts the spin magnetization at 1.6 μB/f.u.

Going by the computed energies, the most stable comes first: Q, P.


# Rb2NpNbO6 | the Alexandria database | GGA-PBE | relaxed
# Formation energy from raw total energies = -2.489 eV per atom
data_Rb2NpNbO6
_chemical_formula_sum 'Rb8 Np4 Nb4 O24'
_cell_length_a 8.4262
_cell_length_b 8.4262
_cell_length_c 8.4262
_cell_angle_alpha 90.00
_cell_angle_beta 90.00
_cell_angle_gamma 90.00
_space_group_name_H-M_alt 'F m -3 m'
_space_group_IT_number 225
_space_group_name_Hall '-F 4 2 3'
........
**Here the text continues**

III. Tourism Accommodation Upgrade Project (TAUP)

The Tourism Accommodation Upgrade Project (TAUP) is an incentive in the form of a partial reimbursement of the cost of upgrade works undertaken to eligible tourist accommodation. The aim is to achieve a first class level to meet and/or exceed the Trinidad and Tobago Standard Requirements for Tourist Accommodation.

Eligible properties containing:

  • 6-150 guestrooms, will receive a 50% reimbursement of expenditure of cost of work per room up to a maximum reimbursement of $25,000 per room in Trinidad and $30,000 per room in Tobago up to a limit of $1,500,000 for improvements/upgrade works to the interior or exterior of the property.
  • 1-5 guestrooms, will receive a 40% reimbursement of expenditure of cost of work per room up to a maximum reimbursement of $25,000 per room in Trinidad and $30,000 per room in Tobago up to a limit of $150,000 for improvements/upgrade works to the interior or exterior of the property.

Application Procedure

Applicants must contact Tourism Trinidad Limited or Tobago Tourism Agency Limited to obtain an Application Package.

For more information on the Tourism Accommodation Upgrade Project visit:

IV. Co-Financing for the Tourism Sector

Companies can be reimbursed up to 50% of the total eligible costs incurred in accessing new export markets or expanding within existing markets. A company shall receive financial support on pre-approved investments, purchases, costs or expenses. Co-financing is only available for export-oriented products and services. The grant is based on the size of the company:

  • Small Companies- Generating less than or equal to TT$8 million in annual turnover 50% to a limit of $60,000.00. Funded portion will be paid directly to suppliers for small companies only.
  • Medium Companies- Generating between TT$8 million andTT$15 million in annual turnover 50% to a limit of $55,000. Reimbursable.
  • Large Companies- Generating over TT$15 million in annual turnover 50% to a limit of $50,000. Reimbursable.

For more details visit: